### Job
Write out the lines below word for word.

### File
********
Starting from a GGA-PBE-relaxed structure, the powder XRD pattern of Pu2Ga3Ni was computed for a wavelength of 1.5418 Å.

```
data_Pu2Ga3Ni
_chemical_formula_sum 'Pu2 Ga3 Ni1'
_symmetry_space_group_name_H-M 'P 1'
_symmetry_Int_Tables_number 1
_symmetry_space_group_name_Hall 'P 1'
_cell_length_a 3.3454
_cell_length_b 4.4809
_cell_length_c 7.7505
_cell_angle_alpha 90.00
_cell_angle_beta 90.00
_cell_angle_gamma 90.00
loop_
_atom_site_label
_atom_site_fract_x
_atom_site_fract_y
_atom_site_fract_z
Pu1 0.0000 0.0000 0.0000
Pu2 0.0000 0.5000 0.4722
Ga1 0.5000 0.0000 0.6399
Ga2 0.5000 0.5000 0.1559
Ga3 0.5000 0.5000 0.8172
Ni1 0.5000 0.0000 0.3119
```

Top 10 peaks for 2θ = 10–80°, sorted by position:
- hkl 0 1 1, 22.93 deg, I = 41
- hkl 1 1 1, 35.44 deg, I = 100
- hkl 0 2 0, 40.28 deg, I = 53
- hkl 0 2 2, 46.85 deg, I = 6
- hkl 1 2 2, 54.72 deg, I = 28
- hkl 2 0 0, 54.89 deg, I = 7
- hkl 2 1 1, 60.26 deg, I = 7
- hkl 1 3 1, 70.09 deg, I = 26
- hkl 2 2 0, 70.24 deg, I = 20
- hkl 0 3 3, 73.22 deg, I = 8
********

### Outcome
Starting from a GGA-PBE-relaxed structure, the powder XRD pattern of Pu2Ga3Ni was computed for a wavelength of 1.5418 Å.

```
data_Pu2Ga3Ni
_chemical_formula_sum 'Pu2 Ga3 Ni1'
_symmetry_space_group_name_H-M 'P 1'
_symmetry_Int_Tables_number 1
_symmetry_space_group_name_Hall 'P 1'
_cell_length_a 3.3454
_cell_length_b 4.4809
_cell_length_c 7.7505
_cell_angle_alpha 90.00
_cell_angle_beta 90.00
_cell_angle_gamma 90.00
loop_
_atom_site_label
_atom_site_fract_x
_atom_site_fract_y
_atom_site_fract_z
Pu1 0.0000 0.0000 0.0000
Pu2 0.0000 0.5000 0.4722
Ga1 0.5000 0.0000 0.6399
Ga2 0.5000 0.5000 0.1559
Ga3 0.5000 0.5000 0.8172
Ni1 0.5000 0.0000 0.3119
```

Top 10 peaks for 2θ = 10–80°, sorted by position:
- hkl 0 1 1, 22.93 deg, I = 41
- hkl 1 1 1, 35.44 deg, I = 100
- hkl 0 2 0, 40.28 deg, I = 53
- hkl 0 2 2, 46.85 deg, I = 6
- hkl 1 2 2, 54.72 deg, I = 28
- hkl 2 0 0, 54.89 deg, I = 7
- hkl 2 1 1, 60.26 deg, I = 7
- hkl 1 3 1, 70.09 deg, I = 26
- hkl 2 2 0, 70.24 deg, I = 20
- hkl 0 3 3, 73.22 deg, I = 8